Thursday, 24 September 2009

25.9. Who is the user?

At present the world of design and business abound with user-centered design and methods developed for studying with and for the users.

We can talk about our experiences with user-centered design - and methods we have used, e.g. cultural probes like Gaver's Presence project. And what is the significance of practices?

We also did an exercise of mapping practices around a certain theme that involved a potential design issue: coffee machines, doors, micro-wave ovens.

And went through some approaches to practices by Michel De Certeau (Practices of Everyday Things), Aristoteles (The Nichomachean Ethics) and Paolo Virno (Quando il verbo si fa carne/ When word becomes flesh).

Motto being A. Einstein's: "You can never solve a problem on the level on which it was created."

18.9 Introduction to Design Thinking and Design

Taina talked about design and based it on man/ human being being something and somebody that is always made and constructed. Man is the first thing, culture is made of clay, molded from material with a live spirit blown into it. Man makes himself, his world, he makes things. Making things is the work of master - mastery is solving a riddle, constructing a labyrinth, gaining experience through time. Platon was referred to, likewise Taina's book Kaupunki on ihmisen koti, and Walter Benjamin (for instance Some Motifs in Baudelaire/ Silmä väkijoukossa)

........
Tb8ZnIr2: theoretical X-ray diffraction stick pattern (Cu Kα), based on a structure optimized by DFT (PBE).
Peak positions follow from Bragg's law for the DFT cell and can differ from measured ones.

Peak list (10 most intense, 2θ = 5–70°, in order of rising 2θ)
| 2θ (°) | Rel. int. |
| --- | --- |
| 16.4 | 41.0 |
| 25.2 | 37.7 |
| 29.9 | 100.0 |
| 32.0 | 89.1 |
| 33.1 | 81.4 |
| 33.1 | 39.0 |
| 34.8 | 62.5 |
| 36.0 | 40.5 |
| 38.2 | 53.1 |
| 38.6 | 62.1 |

Structural model:
```
data_Tb8ZnIr2
_chemical_formula_sum 'Tb16 Zn2 Ir4'
_symmetry_space_group_name_H-M 'C 1 m 1'
_symmetry_Int_Tables_number 8
_cell_length_a 8.641
_cell_length_b 13.092
_cell_length_c 5.549
_cell_angle_alpha 90.00
_cell_angle_beta 103.80
_cell_angle_gamma 90.00
loop_
_symmetry_equiv_pos_as_xyz
'x,y,z'
'x,-y,z'
'x+1/2,y+1/2,z'
'x+1/2,-y+1/2,z'
loop_
_atom_site_label
_atom_site_type_symbol
_atom_site_fract_x
_atom_site_fract_y
_atom_site_fract_z
Tb1 Tb 0.000 0.000 0.000
Tb2 Tb 0.077 0.370 0.782
Tb3 Tb 0.178 0.130 0.611
Tb4 Tb 0.256 0.500 0.393
Tb5 Tb 0.378 0.243 0.196
Zn1 Zn 0.379 0.000 0.189
Ir1 Ir 0.378 0.309 0.697
```

Tc3Ir: theoretical X-ray diffraction stick pattern (Cu Kα), based on a structure optimized by DFT (PBE).
Peak positions follow from Bragg's law for the DFT cell and can differ from measured ones.

Peak list (10 most intense, 2θ = 5–70°, in order of rising 2θ)
| 2θ (°) | Rel. int. |
| --- | --- |
| 19.8 | 18.3 |
| 22.9 | 6.6 |
| 38.4 | 3.7 |
| 38.7 | 7.3 |
| 40.2 | 100.0 |
| 40.4 | 98.3 |
| 46.7 | 32.5 |
| 47.0 | 63.7 |
| 68.4 | 51.1 |
| 69.0 | 10.0 |

Structural model:
```
data_Tc3Ir
_chemical_formula_sum 'Tc6 Ir2'
_symmetry_space_group_name_H-M 'C m m m'
_symmetry_Int_Tables_number 65
_symmetry_space_group_name_Hall '-C 2 2'
_cell_length_a 5.489
_cell_length_b 7.783
_cell_length_c 2.722
_cell_angle_alpha 90.00
_cell_angle_beta 90.00
_cell_angle_gamma 90.00
loop_
_atom_site_label
_atom_site_type_symbol
_atom_site_fract_x
_atom_site_fract_y
_atom_site_fract_z
Tc1 Tc 0.000 0.000 0.000
Tc2 Tc 0.250 0.250 0.500
Ir1 Ir 0.000 0.500 0.000
```

Tc2Ir3: theoretical X-ray diffraction stick pattern (Cu Kα), based on a structure optimized by DFT (PBE).
Peak positions follow from Bragg's law for the DFT cell and can differ from measured ones.

Peak list (10 most intense, 2θ = 5–70°, in order of rising 2θ)
| 2θ (°) | Rel. int. |
| --- | --- |
| 14.4 | 10.9 |
| 22.1 | 9.0 |
| 25.9 | 24.7 |
| 40.6 | 43.4 |
| 40.7 | 23.0 |
| 42.7 | 100.0 |
| 43.5 | 34.9 |
| 44.0 | 19.8 |
| 61.1 | 14.1 |
| 63.6 | 13.3 |

Structural model:
```
data_Tc2Ir3
_chemical_formula_sum 'Tc8 Ir12'
_symmetry_space_group_name_H-M 'P n m a'
_symmetry_Int_Tables_number 62
_cell_length_a 9.198
_cell_length_b 4.161
_cell_length_c 8.233
_cell_angle_alpha 90.00
_cell_angle_beta 90.00
_cell_angle_gamma 90.00
loop_
_symmetry_equiv_pos_as_xyz
'x,y,z'
'-x,-y,-z'
'-x+1/2,-y,z+1/2'
'x+1/2,y,-z+1/2'
'x+1/2,-y+1/2,-z+1/2'
'-x+1/2,y+1/2,z+1/2'
'-x,y+1/2,-z'
'x,-y+1/2,z'
loop_
_atom_site_label
_atom_site_type_symbol
........

Marjo talked about design, what it is as a profession. She showed slides about history of design, and talked about the design approach to things.

Patrizia Schettino presented her thesis about designing for multicultural users. Nancy Adler participated in the discussion.

- as did the students, thank you!

Thursday, 3 September 2009

Design Thinking program 2009

Course description: The role of design in human culture and creativity. The course provides a historical perspective to design thinking and design practices and gives tools for understanding the role design as form giving plays in all cultural activities and productions. It introduces the emergence of design as a profession and its broadening into an applied science; and the expanding role of design in creative economy, and of the role of the user in social and p2p production. The founding design principles of functionality, usability, user-centeredness and accessibility (Design for All) are explored, and creativity and innovation studied also by concrete examples. The aim of the course is to provide the students with an understanding of the role and functioning of design, and with first hand insight into design process.

Study mode: Lectures, discussions, workshop exercises and a final essay.

Fri  18.9. 10 - 14  What is Design? Basics, contexts, values.
Fri 25.9.  10 - 14  What is Co-Design? Who is the user?
Fri  2.10  10 - 14  What is Sustainable Design?
Fri  9.10  10 - 14  Design and Management - what has design got  to do with it?